• Excerpt:
┌──
Entry 1:
Ce12Sn5Ge3: theoretical powder X-ray diffraction pattern (Cu Kα), based on a PBE-relaxed structure.

Most intense lines, 5 to 70 degrees two-theta, in order of rising 2θ:
30.8 deg, rel. 17.5; 31.6 deg, rel. 47.4; 32.0 deg, rel. 44.9; 32.6 deg, rel. 100.0; 33.8 deg, rel. 16.6; 35.4 deg, rel. 28.1

```
data_Ce12Sn5Ge3
_chemical_formula_sum 'Ce24 Sn10 Ge6'
_cell_length_a 11.621
_cell_length_b 11.621
_cell_length_c 11.621
_cell_angle_alpha 118.63
_cell_angle_beta 118.63
_cell_angle_gamma 92.40
_space_group_name_H-M_alt 'P 1'
_space_group_IT_number 1
_space_group_name_Hall 'P 1'
loop_
_atom_site_label
_atom_site_fract_x
_atom_site_fract_y
_atom_site_fract_z
Ce1 0.064 0.927 0.261
Ce2 0.073 0.334 0.137
Ce3 0.141 0.641 0.500
Ce4 0.164 0.336 0.500
Ce5 0.166 0.427 0.863
Ce6 0.197 0.936 0.863
Ce7 0.303 0.166 0.739
Ce8 0.334 0.197 0.261
Ce9 0.336 0.836 0.171
Ce10 0.359 0.859 0.500
Ce11 0.427 0.564 0.261
Ce12 0.436 0.697 0.863
Ce13 0.564 0.303 0.137
Ce14 0.573 0.436 0.739
Ce15 0.641 0.141 0.500
Ce16 0.664 0.164 0.829
Ce17 0.666 0.803 0.739
Ce18 0.697 0.834 0.261
Ce19 0.803 0.064 0.137
Ce20 0.834 0.573 0.137
Ce21 0.836 0.664 0.500
Ce22 0.859 0.359 0.500
Ce23 0.927 0.666 0.863
Ce24 0.936 0.073 0.739
Sn1 0.000 0.000 0.000
Sn2 0.027 0.876 0.500
Sn3 0.124 0.624 0.151
Sn4 0.376 0.527 0.500
Sn5 0.473 0.973 0.849
Sn6 0.500 0.500 0.000
Sn7 0.527 0.027 0.151
Sn8 0.624 0.473 0.500
Sn9 0.876 0.376 0.849
Sn10 0.973 0.124 0.500
Ge1 0.123 0.623 0.746
Ge2 0.250 0.250 0.000
Ge3 0.377 0.123 0.500
Ge4 0.623 0.877 0.500
Ge5 0.750 0.750 0.000
Ge6 0.877 0.377 0.254
```

Entry 2:
NaLi3Sb2: theoretical powder X-ray diffraction pattern (Cu Kα), based on a PBE-relaxed structure.

Most intense lines, 5 to 70 degrees two-theta, in order of rising 2θ:
22.2 deg, rel. 100.0; 29.7 deg, rel. 36.0; 35.1 deg, rel. 34.1; 37.0 deg, rel. 49.2; 41.1 deg, rel. 25.7; 46.8 deg, rel. 30.3

```
data_NaLi3Sb2
_chemical_formula_sum 'Na2 Li6 Sb4'
_cell_length_a 4.858
_cell_length_b 4.858
_cell_length_c 12.882
_cell_angle_alpha 90.00
_cell_angle_beta 90.00
_cell_angle_gamma 120.00
_space_group_name_H-M_alt 'P 1'
_space_group_IT_number 1
_space_group_name_Hall 'P 1'
loop_
_atom_site_label
_atom_site_fract_x
_atom_site_fract_y
_atom_site_fract_z
Na1 0.000 0.000 0.250
Na2 0.000 0.000 0.750
Li1 0.000 0.000 0.000
Li2 0.000 0.000 0.500
Li3 0.333 0.667 0.100
Li4 0.333 0.667 0.400
Li5 0.667 0.333 0.600
Li6 0.667 0.333 0.900
Sb1 0.333 0.667 0.629
Sb2 0.333 0.667 0.871
Sb3 0.667 0.333 0.129
Sb4 0.667 0.333 0.371
```

Entry 3:
Er5In2Ir2: theoretical powder X-ray diffraction pattern (Cu Kα), based on a PBE-relaxed structure.

Most intense lines, 5 to 70 degrees two-theta, in order of rising 2θ:
10.9 deg, rel. 85.1; 31.4 deg, rel. 57.3; 32.2 deg, rel. 52.5; 34.5 deg, rel. 78.5; 38.0 deg, rel. 47.7; 38.6 deg, rel. 100.0

```
data_Er5In2Ir2
_chemical_formula_sum 'Er10 In4 Ir4'
_cell_length_a 8.980
_cell_length_b 8.980
_cell_length_c 7.456
_cell_angle_alpha 90.00
_cell_angle_beta 90.00
_cell_angle_gamma 50.01
_space_group_name_H-M_alt 'P 1'
_space_group_IT_number 1
_space_group_name_Hall 'P 1'
loop_
_atom_site_label
_atom_site_fract_x
_atom_site_fract_y
_atom_site_fract_z
Er1 0.000 0.000 0.000
Er2 0.055 0.715 0.665
Er3 0.215 0.555 0.165
Er4 0.285 0.945 0.665
Er5 0.445 0.785 0.165
Er6 0.500 0.500 0.500
Er7 0.555 0.215 0.835
Er8 0.715 0.055 0.335
Er9 0.785 0.445 0.835
Er10 0.945 0.285 0.335
In1 0.220 0.220 0.000
In2 0.280 0.280 0.500
In3 0.720 0.720 0.500
In4 0.780 0.780 0.000
Ir1 0.134 0.866 0.365
Ir2 0.366 0.634 0.865
Ir3 0.634 0.366 0.135
Ir4 0.866 0.134 0.635
```

Entry 4:
PmPIr3: theoretical powder X-ray diffraction pattern (Cu Kα), based on a PBE-relaxed structure.

Most intense lines, 5 to 70 degrees two-theta, in order of rising 2θ:
33.7 deg, rel. 32.0; 35.7 deg, rel. 100.0; 45.0 deg, rel. 36.2; 46.7 deg, rel. 15.9; 48.3 deg, rel. 16.4; 57.3 deg, rel. 20.6

```
data_PmPIr3
_chemical_formula_sum 'Pm1 P1 Ir3'
_cell_length_a 6.037
_cell_length_b 6.037
_cell_length_c 6.037
└──

• To do:
Please set down everything further above exactly.

• Done:
Entry 1:
Ce12Sn5Ge3: theoretical powder X-ray diffraction pattern (Cu Kα), based on a PBE-relaxed structure.

Most intense lines, 5 to 70 degrees two-theta, in order of rising 2θ:
30.8 deg, rel. 17.5; 31.6 deg, rel. 47.4; 32.0 deg, rel. 44.9; 32.6 deg, rel. 100.0; 33.8 deg, rel. 16.6; 35.4 deg, rel. 28.1

```
data_Ce12Sn5Ge3
_chemical_formula_sum 'Ce24 Sn10 Ge6'
_cell_length_a 11.621
_cell_length_b 11.621
_cell_length_c 11.621
_cell_angle_alpha 118.63
_cell_angle_beta 118.63
_cell_angle_gamma 92.40
_space_group_name_H-M_alt 'P 1'
_space_group_IT_number 1
_space_group_name_Hall 'P 1'
loop_
_atom_site_label
_atom_site_fract_x
_atom_site_fract_y
_atom_site_fract_z
Ce1 0.064 0.927 0.261
Ce2 0.073 0.334 0.137
Ce3 0.141 0.641 0.500
Ce4 0.164 0.336 0.500
Ce5 0.166 0.427 0.863
Ce6 0.197 0.936 0.863
Ce7 0.303 0.166 0.739
Ce8 0.334 0.197 0.261
Ce9 0.336 0.836 0.171
Ce10 0.359 0.859 0.500
Ce11 0.427 0.564 0.261
Ce12 0.436 0.697 0.863
Ce13 0.564 0.303 0.137
Ce14 0.573 0.436 0.739
Ce15 0.641 0.141 0.500
Ce16 0.664 0.164 0.829
Ce17 0.666 0.803 0.739
Ce18 0.697 0.834 0.261
Ce19 0.803 0.064 0.137
Ce20 0.834 0.573 0.137
Ce21 0.836 0.664 0.500
Ce22 0.859 0.359 0.500
Ce23 0.927 0.666 0.863
Ce24 0.936 0.073 0.739
Sn1 0.000 0.000 0.000
Sn2 0.027 0.876 0.500
Sn3 0.124 0.624 0.151
Sn4 0.376 0.527 0.500
Sn5 0.473 0.973 0.849
Sn6 0.500 0.500 0.000
Sn7 0.527 0.027 0.151
Sn8 0.624 0.473 0.500
Sn9 0.876 0.376 0.849
Sn10 0.973 0.124 0.500
Ge1 0.123 0.623 0.746
Ge2 0.250 0.250 0.000
Ge3 0.377 0.123 0.500
Ge4 0.623 0.877 0.500
Ge5 0.750 0.750 0.000
Ge6 0.877 0.377 0.254
```

Entry 2:
NaLi3Sb2: theoretical powder X-ray diffraction pattern (Cu Kα), based on a PBE-relaxed structure.

Most intense lines, 5 to 70 degrees two-theta, in order of rising 2θ:
22.2 deg, rel. 100.0; 29.7 deg, rel. 36.0; 35.1 deg, rel. 34.1; 37.0 deg, rel. 49.2; 41.1 deg, rel. 25.7; 46.8 deg, rel. 30.3

```
data_NaLi3Sb2
_chemical_formula_sum 'Na2 Li6 Sb4'
_cell_length_a 4.858
_cell_length_b 4.858
_cell_length_c 12.882
_cell_angle_alpha 90.00
_cell_angle_beta 90.00
_cell_angle_gamma 120.00
_space_group_name_H-M_alt 'P 1'
_space_group_IT_number 1
_space_group_name_Hall 'P 1'
loop_
_atom_site_label
_atom_site_fract_x
_atom_site_fract_y
_atom_site_fract_z
Na1 0.000 0.000 0.250
Na2 0.000 0.000 0.750
Li1 0.000 0.000 0.000
Li2 0.000 0.000 0.500
Li3 0.333 0.667 0.100
Li4 0.333 0.667 0.400
Li5 0.667 0.333 0.600
Li6 0.667 0.333 0.900
Sb1 0.333 0.667 0.629
Sb2 0.333 0.667 0.871
Sb3 0.667 0.333 0.129
Sb4 0.667 0.333 0.371
```

Entry 3:
Er5In2Ir2: theoretical powder X-ray diffraction pattern (Cu Kα), based on a PBE-relaxed structure.

Most intense lines, 5 to 70 degrees two-theta, in order of rising 2θ:
10.9 deg, rel. 85.1; 31.4 deg, rel. 57.3; 32.2 deg, rel. 52.5; 34.5 deg, rel. 78.5; 38.0 deg, rel. 47.7; 38.6 deg, rel. 100.0

```
data_Er5In2Ir2
_chemical_formula_sum 'Er10 In4 Ir4'
_cell_length_a 8.980
_cell_length_b 8.980
_cell_length_c 7.456
_cell_angle_alpha 90.00
_cell_angle_beta 90.00
_cell_angle_gamma 50.01
_space_group_name_H-M_alt 'P 1'
_space_group_IT_number 1
_space_group_name_Hall 'P 1'
loop_
_atom_site_label
_atom_site_fract_x
_atom_site_fract_y
_atom_site_fract_z
Er1 0.000 0.000 0.000
Er2 0.055 0.715 0.665
Er3 0.215 0.555 0.165
Er4 0.285 0.945 0.665
Er5 0.445 0.785 0.165
Er6 0.500 0.500 0.500
Er7 0.555 0.215 0.835
Er8 0.715 0.055 0.335
Er9 0.785 0.445 0.835
Er10 0.945 0.285 0.335
In1 0.220 0.220 0.000
In2 0.280 0.280 0.500
In3 0.720 0.720 0.500
In4 0.780 0.780 0.000
Ir1 0.134 0.866 0.365
Ir2 0.366 0.634 0.865
Ir3 0.634 0.366 0.135
Ir4 0.866 0.134 0.635
```

Entry 4:
PmPIr3: theoretical powder X-ray diffraction pattern (Cu Kα), based on a PBE-relaxed structure.

Most intense lines, 5 to 70 degrees two-theta, in order of rising 2θ:
33.7 deg, rel. 32.0; 35.7 deg, rel. 100.0; 45.0 deg, rel. 36.2; 46.7 deg, rel. 15.9; 48.3 deg, rel. 16.4; 57.3 deg, rel. 20.6

```
data_PmPIr3
_chemical_formula_sum 'Pm1 P1 Ir3'
_cell_length_a 6.037
_cell_length_b 6.037
_cell_length_c 6.037